Another audit picks up “Scan for Startup Procs” and flags it as a problem. The recommendation is to turn it off. I disagree, and here’s why…
The page is interrupted by records of crystals:
MgFe6O7F5: calculated X-ray diffraction stick pattern (a wavelength of 1.5418 Å), based on a structure optimized by DFT (GGA+U).
Kinematic intensities with the Lorentz-polarization factor, no thermal factor.

Top 10 peaks for 2θ = 10–90°, in order of rising 2θ:
2theta, d_spacing, I (rel.)
22.90, 3.884, 99
27.36, 3.260, 100
32.31, 2.771, 33
34.36, 2.610, 33
34.61, 2.592, 34
34.82, 2.577, 27
48.82, 1.865, 26
53.47, 1.714, 22
56.45, 1.630, 22
61.33, 1.512, 22

Cell and atoms:
```
data_MgFe6O7F5
_chemical_formula_sum 'Mg1 Fe6 O7 F5'
_space_group_name_H-M_alt 'P 1'
_space_group_IT_number 1
_cell_length_a 5.803
_cell_length_b 6.019
_cell_length_c 7.837
_cell_angle_alpha 107.38
_cell_angle_beta 98.13
_cell_angle_gamma 113.02
loop_
_space_group_symop_operation_xyz
'x,y,z'
loop_
_atom_site_label
_atom_site_type_symbol
_atom_site_fract_x
_atom_site_fract_y
_atom_site_fract_z
Mg1 Mg 0.000 0.000 0.000
Fe1 Fe 0.016 0.528 0.035
Fe2 Fe 0.061 0.026 0.507
Fe3 Fe 0.324 0.553 0.380
Fe4 Fe 0.380 0.963 0.811
Fe5 Fe 0.644 0.049 0.224
Fe6 Fe 0.722 0.413 0.642
O1 O 0.051 0.698 0.844
O2 O 0.255 0.820 0.544
O3 O 0.361 0.319 0.506
O4 O 0.375 0.695 0.186
O5 O 0.675 0.287 0.844
O6 O 0.836 0.190 0.493
O7 O 0.978 0.300 0.179
F1 F 0.121 0.141 0.796
F2 F 0.396 0.158 0.095
F3 F 0.612 0.824 0.888
F4 F 0.735 0.694 0.492
F5 F 0.953 0.827 0.200
```

---

Mg14NbCrO16: calculated X-ray diffraction stick pattern (a wavelength of 1.5418 Å), based on a structure optimized by DFT (GGA+U).
Kinematic intensities with the Lorentz-polarization factor, no thermal factor.

Top 10 peaks for 2θ = 10–90°, in order of rising 2θ:
2theta, d_spacing, I (rel.)
14.48, 6.117, 18
25.33, 3.516, 12
29.27, 3.052, 14
36.05, 2.492, 32
41.77, 2.163, 100
42.06, 2.148, 49
60.55, 1.529, 28
60.77, 1.524, 57
72.53, 1.303, 12
76.46, 1.246, 26

Cell and atoms:
```
data_Mg14NbCrO16
_chemical_formula_sum 'Mg14 Nb1 Cr1 O16'
_space_group_name_H-M_alt 'P 1'
_space_group_IT_number 1
_cell_length_a 8.650
_cell_length_b 8.650
_cell_length_c 4.297
_cell_angle_alpha 90.00
_cell_angle_beta 90.00
_cell_angle_gamma 90.00
loop_
_space_group_symop_operation_xyz
'x,y,z'
loop_
_atom_site_label
_atom_site_type_symbol
_atom_site_fract_x
_atom_site_fract_y
_atom_site_fract_z
Mg1 Mg 0.000 0.251 0.000
Mg2 Mg 0.000 0.500 0.500
Mg3 Mg 0.000 0.749 0.000
Mg4 Mg 0.243 0.500 0.000
Mg5 Mg 0.247 0.247 0.500
Mg6 Mg 0.247 0.753 0.500
Mg7 Mg 0.251 0.000 0.000
Mg8 Mg 0.500 0.000 0.500
Mg9 Mg 0.500 0.243 0.000
Mg10 Mg 0.500 0.757 0.000
Mg11 Mg 0.749 0.000 0.000
Mg12 Mg 0.753 0.247 0.500
Mg13 Mg 0.753 0.753 0.500
Mg14 Mg 0.757 0.500 0.000
Nb1 Nb 0.500 0.500 0.500
Cr1 Cr 0.000 0.000 0.500
O1 O 0.000 0.000 0.000
O2 O 0.000 0.261 0.500
O3 O 0.000 0.500 0.000
O4 O 0.000 0.739 0.500
O5 O 0.242 0.500 0.500
O6 O 0.251 0.251 0.000
O7 O 0.251 0.749 0.000
O8 O 0.261 0.000 0.500
O9 O 0.500 0.000 0.000
O10 O 0.500 0.242 0.500
O11 O 0.500 0.500 0.000
O12 O 0.500 0.758 0.500
O13 O 0.739 0.000 0.500
O14 O 0.749 0.251 0.000
O15 O 0.749 0.749 0.000
Like my previous post about xp_cmdshell, I have a stake here. We use this stored procedure in our monitoring so whenever SQL starts we can check the error logs and calculate downtime etc. It’s useful, and this is exactly the scenario that I believe the configuration is made for.
Unlike xp_cmdshell though I can see a likely configuration where this can be a problem. So let’s talk about what it does.
If you enable this option SQL will scan for stored procedures marked to run on startup next time it restarts(As a side note you need to restart the server to enable it). You can mark a stored procedure to run on startup by using sp_procoption. And when I say you, I mean YOU, the sysadmin.
Yes the only user who has the ability to mark a stored procedure to run on startup is a sysadmin, so like xp_cmdshell this is a vulnerability that can only be exploited by a sysadmin. And if they are already a sysadmin they can turn it on anyway. Also…you know…they are a sysadmin. If they are malicious you have bigger problems than them running a stored procedure on startup. They can run ANY stored procedure, right now.
Of course, it’s a bit more complex than this. In this case the stored procedure is only required to mark a stored procedure to run on startup. It is possible for a user without sysadmin privileges who has the correct rights on the master database to alter the stored procedure. So yes, there is a vector here to elevate db owner on master to sysadmin, and then do whatever else you want.
This is where I have issues with some of these generic recommendations in audits. They are painted as black and white and as we all know the answer in SQL is always ‘It depends’. But when you just label something as ‘bad’ and people just accept that rather than ask why and how, perfectly safe and useful pieces of functionality are turned off.
A better approach would be to treat this finding as the start of a conversation, sit down with the server owners, understand if the functionality is needed and if so what mitigations can be put in place to ensure it is not a risk. There’s not many good reasons for giving a user elevated rights on the master database.
These data records were left in the entry by mistake:
- - -
Record 1
# K6Si2S6O
Theoretical PXRD pattern, a wavelength of 1.5418 Å. Input: a crystal structure in the Materials Project, relaxed with PBE.

Main lines, in order of rising 2θ (2θ = 10–90°):
2θ 26.01, rel. 35
2θ 26.42, rel. 60
2θ 30.49, rel. 100
2θ 31.11, rel. 46
2θ 32.11, rel. 45
2θ 32.30, rel. 38
2θ 32.58, rel. 39
2θ 32.84, rel. 67

Crystal structure
a = 8.857 Å, b = 11.858 Å, c = 8.424 Å
α = 90.00°, β = 112.08°, γ = 90.00°
Sites, in units of the cell vectors:
K1 0.008 0.173 0.011
K2 0.008 0.327 0.511
K3 0.226 0.562 0.217
K4 0.226 0.938 0.717
K5 0.456 0.221 0.808
K6 0.456 0.279 0.308
K7 0.544 0.721 0.692
K8 0.544 0.779 0.192
K9 0.774 0.062 0.283
K10 0.774 0.438 0.783
K11 0.992 0.673 0.489
K12 0.992 0.827 0.989
Si1 0.315 0.510 0.850
Si2 0.315 0.990 0.350
Si3 0.685 0.010 0.650
Si4 0.685 0.490 0.150
S1 0.173 0.116 0.412
S2 0.173 0.384 0.912
S3 0.239 0.679 0.870
S4 0.239 0.821 0.370
S5 0.335 0.023 0.110
S6 0.335 0.477 0.610
S7 0.665 0.523 0.390
S8 0.665 0.977 0.890
S9 0.761 0.179 0.630
S10 0.761 0.321 0.130
S11 0.827 0.616 0.088
S12 0.827 0.884 0.588
O1 0.500 0.000 0.500
O2 0.500 0.500 0.000

=====

Record 2
# In3Sn
Theoretical PXRD pattern, a wavelength of 1.5418 Å. Input: a crystal structure in the Materials Project, relaxed with PBE.

Main lines, in order of rising 2θ (2θ = 10–90°):
2θ 31.63, rel. 100
2θ 32.97, rel. 45
2θ 34.48, rel. 40
2θ 35.78, rel. 72
2θ 41.95, rel. 23
2θ 55.28, rel. 20
2θ 57.29, rel. 18
2θ 59.93, rel. 16

Crystal structure
a = 5.359 Å, b = 3.751 Å, c = 11.191 Å
α = 90.00°, β = 103.84°, γ = 90.00°
Sites, in units of the cell vectors:
In1 0.000 0.000 0.000
In2 0.002 0.500 0.752
In3 0.498 0.000 0.248
In4 0.500 0.500 0.000
In5 0.502 0.000 0.752
In6 0.998 0.500 0.248
Sn1 0.000 0.000 0.500
Sn2 0.500 0.500 0.500

=====

Record 3
# Hf4FeS8
Theoretical PXRD pattern, a wavelength of 1.5418 Å. Input: a crystal structure in the Materials Project, relaxed with PBE.

Main lines, in order of rising 2θ (2θ = 10–90°):
2θ 15.13, rel. 88
2θ 28.67, rel. 57
2θ 32.57, rel. 100
2θ 42.37, rel. 81
2θ 50.83, rel. 21
2θ 53.35, rel. 14
2θ 55.57, rel. 21
2θ 68.16, rel. 13

Crystal structure
a = 6.875 Å, b = 6.875 Å, c = 8.537 Å
α = 125.72°, β = 125.72°, γ = 63.20°
Sites, in units of the cell vectors:
Hf1 0.246 0.754 0.000
Hf2 0.251 0.251 0.497
Hf3 0.749 0.749 0.503
Hf4 0.754 0.246 0.000
Fe1 0.000 0.000 0.500
S1 0.209 0.715 0.665
S2 0.210 0.210 0.165
S3 0.285 0.791 0.335
S4 0.289 0.289 0.830
S5 0.711 0.711 0.170
S6 0.715 0.209 0.665
S7 0.790 0.790 0.835
S8 0.791 0.285 0.335

=====

Record 4
# Al2VNi9
Theoretical PXRD pattern, a wavelength of 1.5418 Å. Input: a crystal structure in the Materials Project, relaxed with PBE.

Main lines, in order of rising 2θ (2θ = 10–90°):
2θ 25.06, rel. 4
2θ 25.16, rel. 2
2θ 35.79, rel. 5
2θ 44.21, rel. 100
2θ 51.43, rel. 31
2θ 51.66, rel. 15
2θ 75.71, rel. 9
2θ 75.89, rel. 18

Crystal structure
a = 3.553 Å, b = 3.553 Å, c = 10.617 Å
α = 90.00°, β = 90.00°, γ = 90.00°
Sites, in units of the cell vectors:
- - -
I’ll stop now because this post has a lot of potential to turn into a rant on the difference between compliance and security, but if you found this blog looking for a recommendation about using “Scan for Startup Procs” my advise would be this. If there’s another way of doing what you want that is equally efficient, use that. “Scan for Startup Procs” is a setting you will find yourself having to defend every time there is an audit of your server and you may not want to fight that fight. If you do want to fight it, making the setting safe is very simple. Don’t let anyone have rights to edit the stored procedure you create and you are fine. Bare in mind however that with all your good intentions, one day you may not be there, the guidance may not be followed and someone will be able to exploit this.